If you’ve been dealing with Nigerian men in the dating scene then you probably already know for a fact that they are indeed a special breed. They will lie about everything and present a reality that only exists in their head to you, just to get their way. These questions are tailored to help you get the real truth from these men no matter how smooth they are. Grab a pen sis, because you are about to get schooled.
1. Is Anybody Under The Impression That They Are Dating You?
Because if you ask him if he is single he will LIE. If you phrase the question like this, you are making it seem like you are on his side so he is more likely to let the truth slip out.
2. Will Anyone Be Angry Or Sad If They Found Out About This Date?
Still double-checking sis. These men lie without missing a beat so you have to squeeze out the truth, especially if you don’t have the strength to fight anybody’s girlfriend in this Lagos. The trick is to ask him the same question many times in different ways so he can slip up.
3. How Quickly Do You Text Back?
If it’s anything longer than 30 mins let him go sis. He will stress you and make you overthink your way to early wrinkles and grey hair.
4. What Did Your Ex Complain About The Most?
Next to the article, the page also holds calculated molecules:
- - -
#one
The following is a quantum chemistry calculation of a 2-piece molecular cluster, C2H4BrN overall, from the OMol25 dataset.

CARTESIAN COORDINATES (ANGSTROEM)
Br  0.17  -2.82  -3.12
N  0.64  -1.36  -0.95
C  1.02  -0.81  0.12
C  0.07  -1.37  -2.00
H  -0.01  0.84  -0.11
H  -0.29  1.52  0.12
H  1.76  -0.04  0.04
H  0.43  -0.85  0.99

Results
Frontier orbital gap (alpha / beta) (eV): 8.403 / 8.404
Net charge: 0



#two
The following is a quantum chemistry calculation of a 2-piece molecular cluster, C2H4BrN overall, from the OMol25 dataset.

CARTESIAN COORDINATES (ANGSTROEM)
Br  3.75  -1.18  -1.40
N  1.46  -1.25  0.12
C  2.02  -0.59  -0.75
C  -0.48  -0.11  0.33
H  -0.93  -0.42  -0.50
H  1.57  0.24  -1.18
H  -0.65  -0.16  1.41
H  0.01  0.77  0.08

Results
Frontier orbital gap (alpha / beta) (eV): 8.942 / 8.400
Net charge: 0



#two (0.192 eV below the next structure)



#one
The following is a quantum chemistry calculation of C7H9Cl2IrLaNO4 as an isolated structure, from the OMol25 dataset.

CARTESIAN COORDINATES (ANGSTROEM)
Ir  -3.00  2.49  -4.06
La  -1.65  -1.16  -0.91
Cl  -1.26  -3.61  -1.22
Cl  -1.24  2.66  -5.52
O  -1.78  4.66  -2.36
O  -5.12  0.77  -2.77
O  -0.01  -0.59  0.37
O  -4.01  -0.90  1.63
N  2.07  -0.92  1.11
C  0.92  -0.30  1.24
C  2.30  -1.76  -0.08
C  -3.23  -1.00  0.77
C  0.62  0.69  2.29
C  3.13  -0.85  2.14
C  -2.33  3.91  -3.08
C  -4.39  1.52  -3.30
H  3.26  -2.27  0.08
H  1.41  0.73  3.04
H  -0.31  0.41  2.80
H  3.52  0.17  2.27
H  1.49  -2.50  -0.20
H  2.76  -1.22  3.11
H  2.38  -1.14  -1.00
H  3.95  -1.49  1.82
H  0.52  1.69  1.84

Results
Multiplicity: 5
<S²>: 6.02
Frontier orbital gap (alpha / beta) (eV): 6.428 / 4.224
Net charge: +4



#two
The following is a quantum chemistry calculation of C7H9Cl2IrLaNO4 as an isolated structure, from the OMol25 dataset.

CARTESIAN COORDINATES (ANGSTROEM)
Ir  -2.06  3.93  -1.01
La  -1.07  1.27  -0.98
Cl  -0.53  3.32  0.79
Cl  -0.03  2.96  -2.66
O  -1.41  -1.33  -4.09
O  -3.00  4.56  -3.84
O  -3.99  4.69  1.20
O  0.65  -0.01  0.03
N  1.75  -1.69  1.08
C  -0.66  -1.93  0.61
C  -3.25  4.38  0.35
C  0.64  -1.19  0.58
C  3.00  -0.93  1.06
C  1.76  -2.99  1.78
C  -1.45  -0.76  -3.10
C  -2.67  4.32  -2.74
H  2.90  0.03  1.58
H  -0.99  -2.15  -0.42
H  -0.58  -2.89  1.13
H  1.07  -3.00  2.64
H  -1.43  -1.33  1.12
H  1.50  -3.83  1.12
H  3.74  -1.54  1.58
H  2.77  -3.15  2.16
H  3.35  -0.75  0.03

Results
Multiplicity: 5
<S²>: 6.02
Frontier orbital gap (alpha / beta) (eV): 6.666 / 4.373
Net charge: +4



#one (1.929 eV below the next structure)



#one
The following is a quantum chemistry calculation of a 2-piece molecular cluster, C4H14NOS2 overall, from the OMol25 dataset.

CARTESIAN COORDINATES (ANGSTROEM)
S  2.22  -1.37  -0.40
S  2.51  0.70  -0.32
O  -1.70  -2.36  0.56
N  -0.70  -0.12  -1.02
C  0.90  1.31  0.18
C  1.85  -1.69  1.35
C  -0.18  1.29  -0.86
C  -1.32  2.22  -0.57
H  -1.69  2.29  0.46
H  -1.35  -0.28  -1.81
H  0.22  1.62  -1.81
H  0.64  0.97  1.17
H  -1.07  3.26  -0.78
- - -
If the answer is something you also know you can’t put up with, then that’s your queue to japa.
5. Are You Still On Good Terms With Your Ex?
If they are still buddies then there’s probably unfinished business there, but if they are enemies then you need to get in on what went down in that relationship before you enter something that will give you a reason to go to therapy. This is actually why you should find men that come with no exes. And when you find them, share that location with the rest of us.
6. Why Did Your Last Relationship End?
If he bad-mouths his ex and says it was all her fault then you need to stand up from that table ASAP. You are dealing with a man who will also talk bad about you to the next woman he meets, if whatever you both start ends. If he bad-mouths another woman to you, rest assured he will bad-mouth you to another woman too. Fear men that don’t know how to take accountability.
7. Do You Still Have Your Ex’s Nudes On Your Phone?
If the answer is yes let him go sis. This man belongs to the streets. Why is he still holding on to his exes nudes?
Bonus Question: Are you Ready To Swear Before Sango Or Amadioha That You Are Single?
If so far you aren’t pleased with his responses, trust your gut feeling. Ask him this question to throw him off balance and get the truth.
If he scores anything less than 6 over 7, you better pack your bags and go. Spare yourself the heartache that is sure to follow if you start anything with this person.
😂😂😂. I thought I was going to read something like the regular relationship advices I read online.
But this! So funny. So true. So educating. I couldn’t have come up with this myself. 🥰.
Now I have what I’d ask this guy I’m going out with on the 25th. 😍❤️🎉
What did I just read 🤣🤣🤣🤣🤣🤣🤣🤣🤣🤣🤣
This is exactly how it should be
Ohhhhhhh. This was funny . Nothing but raw truth . Thank you blessing
Wow I love this, this is how it should be before falling into trap